# To do
Next, retype the whole of the notes underneath without additions.
# Entries
~~~
Record 1
Computed, not measured: C27H28MnN2O3P2S2 as an isolated structure, with the ωB97M-V functional and the def2-TZVPD basis.

Geometry (Å):
C  -2.285  2.719  -3.585
C  -1.975  1.452  -3.120
C  -0.612  1.006  -3.168
C  0.371  2.022  -3.019
C  0.057  3.336  -3.415
C  -1.223  3.637  -3.831
C  1.706  1.664  -2.661
C  1.996  0.267  -2.695
C  0.933  -0.663  -2.863
C  1.245  -2.040  -2.623
C  2.550  -2.491  -2.782
C  3.584  -1.539  -3.001
C  3.324  -0.192  -2.836
H  -3.338  3.068  -3.718
H  0.883  4.048  -3.410
H  -1.444  4.633  -4.179
H  2.369  2.382  -2.243
H  2.838  -3.562  -2.666
H  4.617  -1.859  -3.119
H  4.101  0.576  -2.882
N  -0.245  -0.261  -3.347
Mn  -0.101  -0.011  0.513
C  -2.928  0.562  -2.328
H  -2.807  -0.454  -2.754
H  -3.960  0.954  -2.531
C  0.104  -2.832  -1.986
H  -0.779  -2.704  -2.659
H  0.473  -3.886  -1.945
P  -2.379  0.511  -0.503
P  -0.331  -2.157  -0.302
C  0.825  -3.103  0.755
H  0.578  -2.984  1.819
H  0.772  -4.170  0.497
H  1.836  -2.711  0.600
C  -1.843  -3.163  -0.029
H  -1.570  -4.227  0.034
H  -2.375  -2.874  0.888
H  -2.515  -3.026  -0.883
C  -2.838  2.206  0.043
H  -3.864  2.464  -0.265
H  -2.773  2.321  1.137
H  -2.124  2.915  -0.392
C  -3.848  -0.416  0.132
H  -3.817  -0.580  1.220
H  -4.762  0.153  -0.102
H  -3.908  -1.410  -0.326
C  -0.898  -0.090  1.983
O  -1.575  -0.452  2.888
H  0.666  1.047  -0.319
O  0.193  3.419  4.109
S  1.536  2.910  3.907
O  2.650  3.755  4.299
N  1.727  2.300  2.353
C  1.929  1.017  2.309
S  1.933  0.195  0.669
C  1.960  0.354  3.624
C  1.939  -0.999  3.945
C  1.766  -1.423  5.255
C  1.606  -0.480  6.278
C  1.570  0.902  5.963
C  1.718  1.292  4.628
H  2.127  -1.675  3.115
H  1.767  -2.495  5.487
H  1.459  -0.816  7.308
H  1.406  1.660  6.727

Summary:
2S+1 = 5
LUMO energy (spin up / spin down) = -5.166 / -5.541 eV
net charge = +1
⟨S²⟩ = 6.420
Kohn-Sham gap (spin up / spin down) = 3.66 / 5.60 eV

Record 2
Computed, not measured: C10H12Cl2N2O13P2W as an isolated structure, with the ωB97M-V functional and the def2-TZVPD basis.

Geometry (Å):
W  0.102  -0.095  -0.507
C  -2.148  -1.420  3.322
C  -1.140  -2.239  2.518
O  -0.827  -3.503  3.079
P  0.473  -1.408  2.449
O  0.808  -1.032  3.913
O  1.519  -2.389  1.833
O  0.456  -0.178  1.542
P  -1.816  -2.528  0.817
O  -0.845  -3.565  0.148
O  -3.246  -2.749  0.748
O  -1.315  -1.136  0.070
H  -1.798  -1.296  4.346
H  -3.110  -1.934  3.317
H  -2.299  -0.434  2.880
H  -1.507  -3.769  3.713
H  1.563  -0.460  4.122
H  1.565  -3.285  2.210
H  -1.259  -4.396  -0.133
Cl  0.393  -1.581  -2.188
C  -1.299  0.738  -2.106
Cl  -0.141  2.117  0.088
H  -1.947  -0.083  -2.402
H  -1.905  1.559  -1.734
O  4.029  0.822  -0.055
C  3.064  0.940  -0.710
O  1.952  0.077  -0.557
C  2.691  2.028  -1.671
C  3.136  3.338  -1.523
C  2.475  4.346  -2.219
C  1.338  4.127  -2.964
C  0.947  2.791  -3.103
C  1.679  1.748  -2.559
N  -0.364  2.461  -3.512
O  -1.161  3.208  -3.931
O  -0.690  1.133  -3.390
N  2.940  5.752  -2.048
O  3.911  5.908  -1.351
O  2.298  6.596  -2.623
H  3.944  3.596  -0.848
H  0.773  4.960  -3.365
H  1.398  0.731  -2.780

Summary:
LUMO energy (spin up / spin down) = -9.602 / -9.603 eV
net charge = +2
Kohn-Sham gap (spin up / spin down) = 7.33 / 7.33 eV

Record 3
Computed, not measured: C45H50BN10O4S2Sc as an isolated structure, with the ωB97M-V functional and the def2-TZVPD basis.

Geometry (Å):
Sc  0.306  -0.235  0.020
C  1.724  3.275  -3.497
C  2.263  2.471  -2.303
C  4.507  1.786  -2.767
C  1.587  2.902  -1.037
C  1.750  4.138  -0.408
C  0.976  4.053  0.725
N  0.395  2.846  0.753
N  0.771  2.121  -0.320
B  -0.688  2.413  1.744
N  -1.895  1.944  0.921
C  -3.141  2.429  1.012
C  -3.869  1.958  -0.054
C  -2.968  1.174  -0.783
N  -1.781  1.161  -0.171
C  -3.238  0.537  -2.110
C  -3.378  1.622  -3.183
C  -4.505  -0.318  -2.058
N  -0.208  1.289  2.673
C  -0.084  1.433  3.998
C  0.174  0.199  4.548
C  0.191  -0.676  3.461
N  -0.027  -0.004  2.321
C  0.435  -2.148  3.571
C  1.846  -2.441  3.067
C  -0.629  -2.926  2.802
~~~
# Solution
Record 1
Computed, not measured: C27H28MnN2O3P2S2 as an isolated structure, with the ωB97M-V functional and the def2-TZVPD basis.

Geometry (Å):
C  -2.285  2.719  -3.585
C  -1.975  1.452  -3.120
C  -0.612  1.006  -3.168
C  0.371  2.022  -3.019
C  0.057  3.336  -3.415
C  -1.223  3.637  -3.831
C  1.706  1.664  -2.661
C  1.996  0.267  -2.695
C  0.933  -0.663  -2.863
C  1.245  -2.040  -2.623
C  2.550  -2.491  -2.782
C  3.584  -1.539  -3.001
C  3.324  -0.192  -2.836
H  -3.338  3.068  -3.718
H  0.883  4.048  -3.410
H  -1.444  4.633  -4.179
H  2.369  2.382  -2.243
H  2.838  -3.562  -2.666
H  4.617  -1.859  -3.119
H  4.101  0.576  -2.882
N  -0.245  -0.261  -3.347
Mn  -0.101  -0.011  0.513
C  -2.928  0.562  -2.328
H  -2.807  -0.454  -2.754
H  -3.960  0.954  -2.531
C  0.104  -2.832  -1.986
H  -0.779  -2.704  -2.659
H  0.473  -3.886  -1.945
P  -2.379  0.511  -0.503
P  -0.331  -2.157  -0.302
C  0.825  -3.103  0.755
H  0.578  -2.984  1.819
H  0.772  -4.170  0.497
H  1.836  -2.711  0.600
C  -1.843  -3.163  -0.029
H  -1.570  -4.227  0.034
H  -2.375  -2.874  0.888
H  -2.515  -3.026  -0.883
C  -2.838  2.206  0.043
H  -3.864  2.464  -0.265
H  -2.773  2.321  1.137
H  -2.124  2.915  -0.392
C  -3.848  -0.416  0.132
H  -3.817  -0.580  1.220
H  -4.762  0.153  -0.102
H  -3.908  -1.410  -0.326
C  -0.898  -0.090  1.983
O  -1.575  -0.452  2.888
H  0.666  1.047  -0.319
O  0.193  3.419  4.109
S  1.536  2.910  3.907
O  2.650  3.755  4.299
N  1.727  2.300  2.353
C  1.929  1.017  2.309
S  1.933  0.195  0.669
C  1.960  0.354  3.624
C  1.939  -0.999  3.945
C  1.766  -1.423  5.255
C  1.606  -0.480  6.278
C  1.570  0.902  5.963
C  1.718  1.292  4.628
H  2.127  -1.675  3.115
H  1.767  -2.495  5.487
H  1.459  -0.816  7.308
H  1.406  1.660  6.727

Summary:
2S+1 = 5
LUMO energy (spin up / spin down) = -5.166 / -5.541 eV
net charge = +1
⟨S²⟩ = 6.420
Kohn-Sham gap (spin up / spin down) = 3.66 / 5.60 eV

Record 2
Computed, not measured: C10H12Cl2N2O13P2W as an isolated structure, with the ωB97M-V functional and the def2-TZVPD basis.

Geometry (Å):
W  0.102  -0.095  -0.507
C  -2.148  -1.420  3.322
C  -1.140  -2.239  2.518
O  -0.827  -3.503  3.079
P  0.473  -1.408  2.449
O  0.808  -1.032  3.913
O  1.519  -2.389  1.833
O  0.456  -0.178  1.542
P  -1.816  -2.528  0.817
O  -0.845  -3.565  0.148
O  -3.246  -2.749  0.748
O  -1.315  -1.136  0.070
H  -1.798  -1.296  4.346
H  -3.110  -1.934  3.317
H  -2.299  -0.434  2.880
H  -1.507  -3.769  3.713
H  1.563  -0.460  4.122
H  1.565  -3.285  2.210
H  -1.259  -4.396  -0.133
Cl  0.393  -1.581  -2.188
C  -1.299  0.738  -2.106
Cl  -0.141  2.117  0.088
H  -1.947  -0.083  -2.402
H  -1.905  1.559  -1.734
O  4.029  0.822  -0.055
C  3.064  0.940  -0.710
O  1.952  0.077  -0.557
C  2.691  2.028  -1.671
C  3.136  3.338  -1.523
C  2.475  4.346  -2.219
C  1.338  4.127  -2.964
C  0.947  2.791  -3.103
C  1.679  1.748  -2.559
N  -0.364  2.461  -3.512
O  -1.161  3.208  -3.931
O  -0.690  1.133  -3.390
N  2.940  5.752  -2.048
O  3.911  5.908  -1.351
O  2.298  6.596  -2.623
H  3.944  3.596  -0.848
H  0.773  4.960  -3.365
H  1.398  0.731  -2.780

Summary:
LUMO energy (spin up / spin down) = -9.602 / -9.603 eV
net charge = +2
Kohn-Sham gap (spin up / spin down) = 7.33 / 7.33 eV

Record 3
Computed, not measured: C45H50BN10O4S2Sc as an isolated structure, with the ωB97M-V functional and the def2-TZVPD basis.

Geometry (Å):
Sc  0.306  -0.235  0.020
C  1.724  3.275  -3.497
C  2.263  2.471  -2.303
C  4.507  1.786  -2.767
C  1.587  2.902  -1.037
C  1.750  4.138  -0.408
C  0.976  4.053  0.725
N  0.395  2.846  0.753
N  0.771  2.121  -0.320
B  -0.688  2.413  1.744
N  -1.895  1.944  0.921
C  -3.141  2.429  1.012
C  -3.869  1.958  -0.054
C  -2.968  1.174  -0.783
N  -1.781  1.161  -0.171
C  -3.238  0.537  -2.110
C  -3.378  1.622  -3.183
C  -4.505  -0.318  -2.058
N  -0.208  1.289  2.673
C  -0.084  1.433  3.998
C  0.174  0.199  4.548
C  0.191  -0.676  3.461
N  -0.027  -0.004  2.321
C  0.435  -2.148  3.571
C  1.846  -2.441  3.067
C  -0.629  -2.926  2.802